/*
Material: CdGaO2F
Method: DFT, PBE
State: relaxed

Unit cell a=3.493 b=5.656 c=8.134 alpha=115.87 beta=90.00 gamma=90.00
Sites, in units of the cell vectors:
Cd1 0.750 0.271 0.637
Cd2 0.250 0.729 0.363
Ga1 0.250 0.902 0.839
Ga2 0.750 0.098 0.161
O1 0.750 0.817 0.903
O2 0.250 0.183 0.097
O3 0.250 0.048 0.674
O4 0.750 0.952 0.326
F1 0.750 0.468 0.364
F2 0.250 0.532 0.636

Values from the calculation:
Uncorrected energy in eV per atom: -4.895
Total moment in Bohr magnetons per cell: 0.0
Symmetry: No. 11
Formation energy without anion corrections in kJ/mol of atoms: -168.8
V in Å³ per cell: 144.6

=====

No. 1
An optimized crystal structure of CePrRuPt. Source: Alexandria, functional PBE.

```
4
Lattice="0.0000 3.5496 3.5496 3.5496 0.0000 3.5496 3.5496 3.5496 0.0000" Properties=species:S:1:pos:R:3 pbc="T T T"
Ce 0.0000 0.0000 0.0000
Pr 3.5496 3.5496 3.5496
Ru 1.7748 1.7748 1.7748
Pt 5.3244 5.3244 5.3244
```

Energy above the lowest structure with this stoichiometry (meV/atom): 126
SG: No. 216
Total DFT energy (no corrections) (eV/atom): -7.06

=====

No. 2
An optimized crystal structure of ZrInSn3. Source: Alexandria, functional PBE.

```
5
Lattice="5.5764 0.0000 0.0000 0.0000 5.5764 0.0000 0.0000 0.0000 5.5764" Properties=species:S:1:pos:R:3 pbc="T T T"
Zr 0.0000 0.0000 0.0000
In 2.7882 2.7882 2.7882
Sn 0.0000 0.0000 2.7882
Sn 0.0000 2.7882 0.0000
Sn 2.7882 0.0000 0.0000
```

Energy above the lowest structure with this stoichiometry (meV/atom): 0
SG: No. 221
Total DFT energy (no corrections) (eV/atom): -4.43

=====

no.,D(E_F) (states/eV/atom),formation energy from the elements (eV per atom)
1,1.081,-0.56
2,0.362,0.22
*/
Search the notes further above for the word "in" and quote each line that has it.
Sites, in units of the cell vectors:
Uncorrected energy in eV per atom: -4.895
Total moment in Bohr magnetons per cell: 0.0
Formation energy without anion corrections in kJ/mol of atoms: -168.8
V in Å³ per cell: 144.6